Stage 3: Expanding their Search Distance – Part 1
Location: Low-traffic city or country roads with long straightaways.
Length of Lesson: 25-30 minutes
In Stage 2, you worked on developing your teen’s space management system. In order to prepare them for higher volume city streets as well as the highway (in Stage 4), you need to help them expand their searching/scanning distance.
Most new drivers have a tendency to fixate on the areas within a few seconds of their car. They also have a tendency to ignore the area of view that is not directly in front of them.
Even drivers who have successfully mastered the skills of Stage 2 have not yet developed a searching and scanning process that encompasses the entire area 20-30 seconds ahead of them.
The purpose of these exercises is to help teach your teen how to search further down the road and how to process that information more quickly. When seasoned drivers are behind the wheel, they are processing and filtering an unbelievable amount of information. They are able to monitor everything going on around them as well as everything unfolding far ahead and behind them without losing focus on what’s happening directly around their car.
They are able to do this because they have developed an advanced searching and scanning system. This did not happen by accident. It was practiced. And with practice, their brain became more adept at filtering and processing the enormous amount of information they were collecting with their eyes. For instance, it became easier and quicker for them to determine closing rates. Certain triggers such as red or yellow lights become instantaneous and almost subconscious warnings for them. Movement in their peripheral vision was detected more rapidly.
Start by expanding their forward search
In this first exercise, head out to a relatively quiet road with long straightaways. Your task is to expand your teen’s forward search.
- Start by determining how far down the road they’re currently looking. Ask your child to tell you the farthest thing down the road that they’re focusing on.
- Next, help them focus on points twice that distance ahead.
- Try to avoid tunnel vision. Although you’re focusing on their forward search, encourage your teen to focus on the entire width of the road as they look farther down it. It may be a little tricky at first, but with practice, it will become second nature.
- Remember that the target area they’re looking at is constantly changing. You don’t pick a point 15 seconds ahead and stare at it until you reach it and then pick a new point. Rather, you’re constantly finding a new point which is 15 to 20 seconds ahead.
Attached: records of molecules >
=====
Entry 1:
9
Properties=species:S:1:pos:R:3:nbo_charge:R:1 method="wB97M-V/def2-TZVPD" e_above_lowest_kj_mol=428.4 gap_ha="0.29820 / 0.29825" homo_ev="-7.8678 / -7.8687" energy_ev=-14497.2941 total_charge=0 multiplicity=1
C -0.30 -0.03 0.13 0.388
O -0.15 -1.00 1.02 -0.707
O -1.56 0.51 0.22 -0.682
P 1.13 0.84 -0.66 0.305
H -0.60 -1.01 -1.63 -0.267
H -0.88 -1.61 1.21 0.513
H -1.43 1.28 -0.33 0.483
H 2.06 -0.31 -0.42 0.034
H 1.74 1.33 0.46 -0.068

---

Entry 2:
50
Properties=species:S:1:pos:R:3:nbo_charge:R:1 method="wB97M-V/def2-TZVPD" gap_ha=0.13804 homo_ev=-4.2793 energy_ev=-84068.5588 total_charge=-1 multiplicity=1
C 0.62 -3.81 -2.06 -0.730
C 0.56 -3.20 -0.69 0.708
O 0.86 -2.13 -0.34 -0.392
N 0.23 -4.22 0.43 -0.586
H -0.38 -4.94 0.05 0.431
H 1.13 -4.65 0.65 0.440
C -0.36 -3.57 1.66 -0.432
H -0.32 -4.30 -2.28 0.257
H 1.35 -4.63 -1.97 0.243
H 1.01 -3.08 -2.76 0.297
H -0.84 -4.34 2.26 0.233
H -1.04 -2.80 1.35 0.253
H 0.44 -3.07 2.21 0.271
C -2.06 -0.24 1.01 -0.757
C -1.32 0.40 -0.09 0.753
O -0.22 0.82 -0.06 -0.497
N -1.95 0.35 -1.43 -0.665
H -2.94 0.05 -1.31 0.483
H -2.19 1.33 -1.73 0.528
C -1.12 -0.31 -2.46 -0.426
H -2.15 -1.31 0.78 0.182
H -3.06 0.18 1.15 0.313
H -1.51 -0.07 1.93 0.295
H -0.79 -1.24 -2.02 0.145
H -0.30 0.35 -2.70 0.235
H -1.57 -0.48 -3.44 0.310
C 1.51 2.39 -2.86 -0.779
C 1.97 2.19 -1.46 0.759
O 2.40 1.17 -1.02 -0.501
N 2.15 3.41 -0.59 -0.577
H 3.05 3.31 -0.11 0.430
H 2.20 4.26 -1.14 0.431
C 1.02 3.54 0.40 -0.496
H 1.50 1.40 -3.30 0.246
H 2.16 3.07 -3.42 0.241
H 0.48 2.79 -2.93 0.341
H 0.06 3.67 -0.12 0.304
H 1.16 4.36 1.10 0.216
H 0.99 2.60 0.95 0.267
Cl -4.87 1.47 -0.92 -0.932
Cl -1.95 0.68 -5.85 -0.978
Cl -1.24 4.02 -1.65 -0.877
C 0.87 -0.24 4.57 0.672
F 0.74 -1.07 3.51 -0.365
F 0.03 -0.68 5.52 -0.333
F 2.11 -0.37 5.05 -0.332
S 0.46 1.51 4.10 2.358
O -0.91 1.33 3.67 -1.001
O 0.65 2.29 5.30 -0.969
O 1.40 1.79 3.03 -1.014

---

Entry 3:
58
Properties=species:S:1:pos:R:3:nbo_charge:R:1 method="wB97M-V/def2-TZVPD" gap_ha="0.18574 / 0.25461" homo_ev="-2.6875 / -4.6397" s_squared=2.025 energy_ev=-96948.6836 total_charge=-1 multiplicity=3
Ti 1.07 0.15 1.48 1.250
N -4.93 -5.38 -1.29 -0.802
C -3.87 -4.48 -1.13 0.175
C -2.77 -4.82 -0.35 -0.281
C -1.70 -3.94 -0.22 -0.161
C -1.73 -2.73 -0.88 -0.299
C -2.82 -2.37 -1.66 -0.154
C -3.89 -3.25 -1.79 -0.278
S -0.42 -1.58 -0.66 2.315
O -0.32 -0.81 -1.88 -0.989
O 0.76 -2.33 -0.26 -0.963
N -0.77 -0.69 0.61 -1.018
C -1.30 0.59 0.47 0.568
N -0.51 1.43 1.23 -0.714
C -0.82 2.78 1.19 -0.068
C -1.87 3.20 0.40 -0.300
C -2.60 2.27 -0.33 -0.095
N -2.30 0.92 -0.29 -0.546
H -5.04 -6.03 -0.53 0.371
H -5.81 -4.95 -1.53 0.372
H -2.75 -5.78 0.16 0.204
H -0.84 -4.20 0.39 0.241
H -2.83 -1.41 -2.15 0.247
H -4.74 -2.98 -2.40 0.204
H -0.20 3.44 1.78 0.208
H -2.12 4.25 0.35 0.209
H -3.44 2.56 -0.95 0.177
S 2.67 1.62 2.50 -0.278
C 2.76 1.06 4.17 -0.215
C 3.42 1.83 5.12 -0.215
C 3.54 1.42 6.44 -0.245
C 2.99 0.20 6.82 -0.239
C 2.33 -0.58 5.89 -0.259
C 2.20 -0.17 4.56 -0.064
S 1.35 -1.21 3.42 -0.276
H 3.85 2.78 4.81 0.207
=====
Back to the page >
You’re aiming to increase their forward search to 15-20 seconds down the road. Some new drivers feel that by increasing their forward search that they may neglect the area around their car. Remind them that, yes, this is possible if you simply stare out into the distance. However, they should be continuously scanning all of their zones. You’re simply asking them to scan further ahead.
With practice, they’ll easily be able to process all of this information. Point out that by scanning further ahead, they’ll have more time to react to changing traffic conditions.
Use commentary driving to expand their forward search
Once you have helped your teen expand their forward focus on empty roads, you should head to slightly more congested areas. Use commentary driving to point out areas on the road that are a little further ahead than they’re used to looking at. Here are some examples of what you might say:
- “What is the color of the traffic light at the intersection up ahead?”
- “Do you see that bright-red motorcycle turning onto our road up there?”
You’re simply trying to get your teen to notice things farther down the road than they’re used to.
Now widen the search
Go to the next part in this article to work on widening your teen’s search focus.